Sunday, April 12, 2009

Videos on Vocational Transition.

Teachers, employers and advocates of Special Education,here I place some videos with vocational transition that could assist you all in looking at children with Special Needs in a different way. They are capable in making positive contributions to the community. Sit relax and observe.

4metohelp: Vocational Education/Training

4metohelp: Vocational Education/Training

Sunday, April 5, 2009

Vocational Education/Training

This article is an easy and clear article on some ways how we as parents and teachers can positively guide and assist our children/students to be able to transit into the wider community as how they are. We need to be the ones to allow them to be all that they can be.

"Learning Disabled Adolescents: Programs, Curriculum, Teaching Methods, No. 507." A computer search reprint of 100 abstracts. Reston, VA: ERIC Clearinghouse on Handicapped and Gifted Children, 1983.:

Gillet, Pamela. "It's Elementary! Career Education Activities for Mildly Handicapped Students." TEACHING EXCEPTIONAL STUDENTS 15 (1983):199-205.

Definitons: Inclusion & More

Many times we hear of the different terminologies of words in Special Education. Now here is a definition website for all to read: Students, Teachers and Parents, I hope that in having the different meaning of words clear, that appreciation will be shown towards children with special and Educators who are advocate of Special Education.

Tuesday, March 31, 2009


This clipping is for all; students, parents and teachers. Students with disability are most of the time not handicap. Here this video shows how despite the disabilities, lot can be done in the work place to accommodate all employers.

Monday, March 30, 2009

Self-Advocacy & Future Planning

Fellow students with disability, this website shows how students can help themselves.They can use the information to guide them to find their inner strength, allocate jobs and and contribute positively to the development of to their community.
Parents and teachers need to be the driving forces behind our children and students with special needs.

Sunday, March 22, 2009

See, I can do too. WOW!

### Calculated crystals, as found in the file
'''
The following is a theoretical PXRD pattern of Cr3ReC. It was derived from a PBE-relaxed structure, using Cu Kα X-rays.

```
data_Cr3ReC
_cell_length_a 3.8425
_cell_length_b 3.8425
_cell_length_c 3.8425
_cell_angle_alpha 90.00
_cell_angle_beta 90.00
_cell_angle_gamma 90.00
_space_group_name_H-M_alt 'P m -3 m'
_space_group_IT_number 221
_space_group_name_Hall '-P 4 2 3'
loop_
_atom_site_label
_atom_site_type_symbol
_atom_site_fract_x
_atom_site_fract_y
_atom_site_fract_z
Cr1 Cr 0.0000 0.0000 0.5000
Re1 Re 0.5000 0.5000 0.5000
C1 C 0.0000 0.0000 0.0000
```

Principal peaks in the range 2θ = 10–80°, by intensity:
- 2.218 Å, 2θ = 40.67°, I = 100, hkl 1 1 1
- 1.921 Å, 2θ = 47.31°, I = 53, hkl 2 0 0
- 2.717 Å, 2θ = 32.97°, I = 47, hkl 1 1 0
- 3.842 Å, 2θ = 23.15°, I = 39, hkl 1 0 0
- 1.359 Å, 2θ = 69.15°, I = 32, hkl 2 2 0
- 1.718 Å, 2θ = 53.31°, I = 19, hkl 2 1 0
- 1.569 Å, 2θ = 58.87°, I = 19, hkl 2 1 1
- 1.281 Å, 2θ = 74.01°, I = 10, hkl 3 0 0
- 1.215 Å, 2θ = 78.76°, I = 8, hkl 3 1 0

The following is a theoretical PXRD pattern of Cr3Ru3C2. It was derived from a PBE-relaxed structure, using Cu Kα X-rays.

```
data_Cr3Ru3C2
_cell_length_a 2.7746
_cell_length_b 2.7746
_cell_length_c 13.2505
_cell_angle_alpha 90.00
_cell_angle_beta 90.00
_cell_angle_gamma 120.00
_space_group_name_H-M_alt 'P -3 m 1'
_space_group_IT_number 164
_space_group_name_Hall '-P 3 2"'
loop_
_atom_site_label
_atom_site_type_symbol
_atom_site_fract_x
_atom_site_fract_y
_atom_site_fract_z
Cr1 Cr 0.0000 0.0000 0.0000
Cr2 Cr 0.3333 0.6667 0.8255
Ru1 Ru 0.0000 0.0000 0.5000
Ru2 Ru 0.3333 0.6667 0.3348
C1 C 0.3333 0.6667 0.0946
```

Principal peaks in the range 2θ = 10–80°, by intensity:
- 2.259 Å, 2θ = 39.91°, I = 100, hkl 1 0 2
- 1.945 Å, 2θ = 46.70°, I = 73, hkl 0 1 4
- 2.208 Å, 2θ = 40.86°, I = 31, hkl 0 0 6
- 1.387 Å, 2θ = 67.52°, I = 23, hkl 1 1 0
- 1.364 Å, 2θ = 68.85°, I = 20, hkl 1 0 8
- 2.111 Å, 2θ = 42.84°, I = 9, hkl 1 0 3
- 2.364 Å, 2θ = 38.06°, I = 9, hkl 1 0 1
- 1.780 Å, 2θ = 51.33°, I = 4, hkl 0 1 5
- 1.893 Å, 2θ = 48.07°, I = 2, hkl 0 0 7
- 1.255 Å, 2θ = 75.77°, I = 2, hkl 1 0 9

The following is a theoretical PXRD pattern of Sc2CrC. It was derived from a PBE-relaxed structure, using Cu Kα X-rays.

```
data_Sc2CrC
_cell_length_a 3.2060
_cell_length_b 3.2060
_cell_length_c 7.2674
_cell_angle_alpha 90.00
_cell_angle_beta 90.00
_cell_angle_gamma 120.00
_space_group_name_H-M_alt 'P 3 m 1'
_space_group_IT_number 156
loop_
_space_group_symop_operation_xyz
'x,y,z'
'-y,x-y,z'
'-x+y,-x,z'
'-y,-x,z'
'-x+y,y,z'
'x,x-y,z'
loop_
_atom_site_label
_atom_site_type_symbol
_atom_site_fract_x
_atom_site_fract_y
_atom_site_fract_z
Sc1 Sc 0.0000 0.0000 0.0000
Sc2 Sc 0.3333 0.6667 0.4042
Cr1 Cr 0.6667 0.3333 0.7019
C1 C 0.3333 0.6667 0.8079
```

Principal peaks in the range 2θ = 10–80°, by intensity:
- 2.594 Å, 2θ = 34.58°, I = 100, hkl 0 1 1
- 2.206 Å, 2θ = 40.91°, I = 75, hkl 1 0 2
- 7.267 Å, 2θ = 12.18°, I = 36, hkl 0 0 1
- 1.603 Å, 2θ = 57.49°, I = 27, hkl 1 1 0
'''
### The entry goes on

Who amazing! I always wanted to show others that children and adults with disability are capable of doing whatever they desire. My utmost desire is to show others how children can move from a child with disability to a full and able adult with disabilities.These videos will show you how able students with disabilities are. Take some time out and view these interested stories and meet others who can contribute to your growth and appreciation of others

Self-Advocacy & Future Planning

To all students, parents & supporters of Special Education: This website is really an interesting site to be used foremost by students. They can read and gather plans that will assist them in planning for their future. There are steps that allow the student to chart a beginning in their future plan. Many times it is difficult for students to help planning their future,especially if there is not a significant other guiding them. This site then allows the individual to make a start through self- evaluation.

Monday, March 16, 2009

This website shows how others try to put good health and safety practices for students with disability. In Belize we too have safety programs for all our students .Well I would like to share that in the school where I am presently working( not a Special ed. Sch.) we try to train our teachers so they area able to provide first aid to each child.
In our little Special Education Unit, we are still trying to reach to a certain level and hopes that more training will be given to our teachers.
This is a website catered mainly for students with and without disabilities. This is a guide for students with disability to seek additional job search, seminars,and professional development activities.
In Belize, we have far to go. Not too many jobs are available for students with disability. Also employers do not readily hire persons with disability to work and if i\they do, the salary is minimal.

For all to read and keep abreast of information

This is just an additional website that I am posting for all those in the education field.

Thursday, March 12, 2009


To educators, and all those in education field.While doing my Special Education Proposal I found this information and belief that it will help all of us who are doing Special Education. This website really guide when dealing with students with dyslexia. This what my research paper is all about. I hope you can make use of the information.

Sunday, March 8, 2009

Employment opportunity

Many times we hear parents of children with disability wondering what they will do with their children after elementary education. Will now these programs do provide some answer to parents and students

This website is very useful and helpful to students, parents and employers. Through these programs students are taught life long skills to enable each to make positive contribution to their community despite their condition. I am hopeful that one of these days, I will be able to create a transitional program for our Belizean children or students. We in Belize really do not have a transitional program for our children.
I am fortunate to be able to visit the OCT program on the campus of the University of North Florida. I usually would engage directly with the students and aslo try to seek information on how to implement the program.

Sunday, March 1, 2009

Postsecondary Education

This website I post especially for students. I want them to read up and know that they can under go secondary education once the will is there. Education has no barriers.Parents need to encourage their children to aspire for the highest and the best in education.
In Belize we need to work on this.We still have not reach to the level of providing accommodating post secondary public education to our students. Hopes are still in the air.


When I thought of mobility I was thinking only permanent mobility. This website made me realized that mobility can also be temporary like me the case of a broken leg . The mobility services does not only caters for permanent cases bot they include temporary too. I hope that in the future that some good will be made in Belize to seriously assist the students and the community with adequate transportation.

To all who are interested, parents and students this is a website that provides a variety of public transportation to the community. In Belize we do have public transportation but there are no transportation with accommodation for people with disability. Also at the schools, no readily available assistance are on campus to help make mobility easy for students to move around.

Sunday, February 22, 2009

Social Relationships and sexuality

Teachers working with students need to be cognisant of their students social and sexual influences.Not only are they sensitive about their preferences but they are also self conscious about the changes in their physical makeup. This article then is directed to educators, students and parents, especially students with disability. We need to understand that they too have their desire to socialize in all manner that is appropriate or immorally right. Therefore we then need to guide them along the way with socialization skills to allow them to move into such decision with little or no obstacle.

Saturday, February 21, 2009

Independent Living

How many of us are aware of the power and pressure that independent living placed on an individual? Well here in this site, one can read ,familiarize and adopt some of the way that can allow a smooth transition into this step. Students with disabilities and even those who are considered ordinary ,do face these challenges. In the case of teachers, Special Education Teachers, how knowledgeable are we to assist our students with modes and ways to face the challenges that society put on students? Are we familiar with rules and regulations about independent living to encourage parents to guide and assist their children to move on with them feeling afraid? Well here in this link ,one can see various fact that can encourage both students and parents to fully equip them to think and practice independently.

Vocational Education/training

This site is very helpful to all: Parents and students can used the information to help them to examine areas where students with disabilities can be positive contributors to school and their community. The transition process given in this sites gives an insight of students with disability moving from childhood to adolescent. I know that sharing my edublog,and keeping it updated on this goal that I will become more knowledgeable to contribute to students transition in my country. To others who will use my edublog, take a look!

Thursday, February 19, 2009


This is a website that highlights the transitional program for students with disabilities. The site provides ways and mode of how to share responsibilities, in their apartments.
It is so amazing to read that not only do these students faces challenges in the academic phases but it also overlaps into the wider community. Many stakeholders need to assist in providing the opportunities for our students with exceptionalities to exercise their civil rights by contributing to the community.
Think as yourself as a child that had a bank account, if you were given the opportunity to control your account how productive would you have been? This is the same way how these students feel.Many times they have the drive to undergo certain initiative but dew their exceptionalities they are held back.

Tuesday, February 17, 2009

Resources Here educators can locate lesson plans, activities,and strategies that can be effectively use to motivate students. The plans that are available can be modified to suit varied levels of students.
Take a look, use this site to enlighten you about various strategies and information in order to effective teach students. It has a wide scope of subject areas and ideas.

For me to know and reflect

"If it is to be it is up to me"! Educators, colleagues, I really would like to share this phrase with all and want to reflect on each word in this sentence/phrase. Can you answer and give explanation to to your answer? What does these words mean to you?